Date filter on One Drive Graph API not working - onedrive

I have following date filter query on one drive with greater than operator.
lastModifiedDateTime gt 2020-08-29T10:48:41.000Z'test')?filter=lastModifiedDateTime%20gt%202020-08-29T10%3A48%3A41.000Z
But it always returns empty result. I have following file detail displaying on one drive.
Type: SRT File
Modified: 8/29/2020 04:40 PM
Added: by me
Date created: 8/29/2020 04:39 PM
Path: My file > stest
Size: 101 KB
Just additional info. I am able to access all files using following url.


Amazon CloudWatch log agent ignoring first character of log lines

If I add a batch of n test records to my log file, the awslogs agent is erroneously ignoring the first character of the first line of the batch of rows that I add. This is fully reproducible. So if I use vi to append the following test log lines:
2017-06-16 15:20:01,123 this line will not get correctly parsed. first character in date string will be skipped.
2017-06-16 15:21:23,456 this will get parsed. 1
2017-06-16 15:22:23,456 this will get parsed. 2
2017-06-16 15:23:23,456 this will get parsed. 3
2017-06-16 15:24:23,456 this will get parsed. 4
2017-06-16 15:25:23,456 this will get parsed. 5
2017-06-16 15:26:23,456 this will get parsed. 6
2017-06-16 15:27:23,456 this will get parsed. 7
The leading 2 in the first row gets omitted by the log agent. In the CloudWatch Logs web console, the event shows up as 017-06-16 15:20:01,123 this line will..., the datetime string does not get successfully parsed, and the log event must use the timestamp of the previous log.
In the common scenario where I add log events to the file one at a time, the first letter of each line is ignored and the timestamp strings do not get correctly parsed. If I append multiple lines in vi before hitting :w save, only the first line experiences this problem and the other lines in the batch get ingested correctly.
I created the log file (as a test) with touch and have only added lines manually with vi so I don't think this is a file encoding problem.
I'm using a mostly standard default configuration.
My CloudWatch Agent Config File:
state_file = /var/awslogs/state/agent-state
file = /var/log/myapp/app.log
log_group_name = MyAppLogGroup
log_stream_name = MyAppLogStream
datetime_format=%Y-%m-%d %H:%M:%S,%f
Then I download the latest setup script from
And run sudo ./ -n -r us-west-2 -c cloudwatch_logs.config
Try setting the
initial_position = start_of_file
option in your config file explicitly, do you get the same behavior?

Bigquery create table (native or external) link to Google cloud storage

I have some files uploaded to Google Cloud Storage (csv and json).
I could create BigQuery tables, native or external, linking to these files in Google Cloud Storage.
In the process of creating bigquery tables, I could check "Schema Automatically detect".
The "Schema Automatically detect" works well with json new line delimited format file. But with the csv file, first row is the 'column name", bigquery cannot do the "schema automatically detect", it treats the first line as data, and then the schema bigquery created will be string_field_1, string_field_2 etc.
Are there anything that I need to do for my csv file that makes bigquery "Schema Automatically detect" works?
The csv file I have is "Microsoft Excel Comma Separated Value File".
If first column is empty, BigQuery autodetect doesn't detect headers
custom id,asset id,related isrc,iswc,title,hfa song code,writers,match policy,publisher name,sync ownership share,sync ownership territory,sync ownership restriction
,A123,,,Medley of very old Viennese songs,,,,,,,
,A234,,,Suite de pièces No. 3 en Ré Mineur HWV 428 - Allemande,,,,,,,
But if first column is not empty - it is OK:
custom id,asset id,related isrc,iswc,title,hfa song code,writers,match policy,publisher name,sync ownership share,sync ownership territory,sync ownership restriction
1,A123,,,Medley of very old Viennese songs,,,,,,,
2,A234,,,Suite de pièces No. 3 en Ré Mineur HWV 428 - Allemande,,,,,,,
Should it be a feature improvement request for BigQuery?
CSV autodetect does detect header line in CSV files, so there must be something special about your data. It would be good if you can provide the real data snippet and the actual commands you used. Here is my example that demonstrates how it works:
~$ cat > /tmp/people.csv
1,Bill Gates,1955-10-28
2,Larry Page,1973-03-26
3,Mark Zuckerberg,1984-05-14
~$ bq load --source_format=CSV --autodetect dataset.people /tmp/people.csv
Upload complete.
Waiting on bqjob_r33dc9ca5653c4312_0000015af95f6209_1 ... (2s) Current status: DONE
~$ bq show dataset.people
Table project:dataset.people
Last modified Schema Total Rows Total Bytes Expiration Labels
----------------- ----------------- ------------ ------------- ------------ --------
22 Mar 21:14:27 |- Id: integer 3 89
|- Name: string
|- DOB: date
custom id,asset id,related isrc,iswc,title,hfa song code,writers,match policy,publisher name,sync ownership share,sync ownership territory,sync ownership restriction
,A123,,,Medley of very old Viennese songs,,,,,,,
,A234,,,Suite de pièces No. 3 en Ré Mineur HWV 428 - Allemande,,,,,,,
If the first column is empty, Google BigQuery cannot detect the schema.
custom id,asset id,related isrc,iswc,title,hfa song code,writers,match policy,publisher name,sync ownership share,sync ownership territory,sync ownership restriction
1,A123,,,Medley of very old Viennese songs,,,,,,,
2,A234,,,Suite de pièces No. 3 en Ré Mineur HWV 428 - Allemande,,,,,,,
If I add the value to the first column, then Google BigQuery can detect the schema.
Should it be a feature improvement request for BigQuery?

unable to load csv file from GCS into bigquery

I am unable to load 500mb csv file from google cloud storage to big query but i got this error
Too many errors encountered. (error code: invalid)
Job ID xxxx-xxxx-xxxx:bquijob_59e9ec3a_155fe16096e
Start Time Jul 18, 2016, 6:28:27 PM
End Time Jul 18, 2016, 6:28:28 PM
Destination Table xxxx-xxxx-xxxx:DEV.VIS24_2014_TO_2017
Write Preference Write if empty
Source Format CSV
Delimiter ,
Skip Leading Rows 1
Source URI gs://xxxx-xxxx-xxxx-dev/VIS24 2014 to 2017.csv.gz
I have gzipped 500mb csv file to csv.gz to upload to GCS.Please help me to solve this issue
The internal details for your job show that there was an error reading the row #1 of your CSV file. You'll need to investigate further, but it could be that you have a header row that doesn't conform to the schema of the rest of the file, so we're trying to parse a string in the header as an integer or boolean or something like that. You can set the skipLeadingRows property to skip such a row.
Other than that, I'd check that the first row of your data matches the schema you're attempting to import with.
Also, the error message you received is unfortunately very unhelpful, so I've filed a bug internally to make the error you received in this case more helpful.

How to Reset Date/Time M500 Sport DV Camera?

I recently bought a M500 Sport DV Cam. I am unable to reset/change Date and Time. According to Manual, Cam will create SportDV.txt file in SDCard and we can change Date Time from SportDV.txt file.
But My Cam is not creating any SportDV.txt file. It only creates Two folders Data (which contains an empty base.dat file) and DCIM (Which contains videos and Images).
I tried to create file Manually, but It doesn't change Date/Time. I also tried different methods like creating files with name times.txt, time.txt, timeset.txt, tag.txt, settime.txt but nothing works.
I am unable to change Date and Time. It always shows Year 2158 instead of 2015.
Sample Date: 2158/8/14 22:10:22
I tried everything and failed. But I found the solution.
Open Notepad and Copy & Paste
0 ~ 12, def:6
1 ~ 200, def:100
1 ~ 200, def:100
White Balance(AWB)
0 ~ 3, def:0, 0(auto), 1(Daylight), 2(Cloudy), 3(Fluorescent)
1 ~ 200, def:100
0 ~ 2, def:1, 0:Max 1:Mid 2:Min
0 ~ 2, def:0, 0:High 1:Middle 2:Low
0 ~ 1, def:0, 0:60Hz 1:50Hz
0 ~ 2, def:0, 0:Average 1:Center 2:Spot
0 ~ 1, def:1, 0:Off 1:On
2012 - 2038, def:2013
01 - 12, def:1
01 - 31, def:1
00 - 23, def:0
01 - 59, def:0
01 - 59, def:0
Set Update:N to Update:Y,
Change year, month, date ,
and save the file with the name SportDV and Encoding to UTF-8
For versions that have a time.bat file putting a N at the end of the timestamp in the time.txt file removes the timestamp from the video, ie time.txt:
2015.11.13 20:13:31 N
i have the more recent version of the m500 mini camera that doesnt use the sportdv.txt file
It looks same physically as earlier one, same leds, same decals but it instead after being reset has a time.bat file in the root of the card. executing this on a windows machine produced a file called time.txt except the format of this batch file doesnt work,
i edited the time.txt file and restated the camera and it worked after following andys format from his posting on the site
choose edit and then make sure you replace the (probably nonsense format) contents with 2015.11.13 20:13:31 - in this case that's YYYY.MM.DD HH:MM:SS click save. turn off/eject the camera. Power up now not connected to PC and make a short capture. Now when you check the content the date/time will hopefully be right?
afaik there is no updated firmware for this version of the camera to change from 3 min files or hide the time/date text :-(

'''
Calculated X-ray diffraction stick pattern of CrP4O12 for a wavelength of 1.5418 Å, from the PBE+U geometry in the Materials Project.
Lines closer than 0.1° are merged.

```
data_CrP4O12
_cell_length_a 16.828
_cell_length_b 12.293
_cell_length_c 5.154
_cell_angle_alpha 90.00
_cell_angle_beta 98.39
_cell_angle_gamma 90.00
_space_group_name_H-M_alt 'C 1 2/m 1'
_space_group_IT_number 12
loop_
_space_group_symop_operation_xyz
'x,y,z'
'-x,-y,-z'
'-x,y,-z'
'x,-y,z'
'x+1/2,y+1/2,z'
'-x+1/2,-y+1/2,-z'
'-x+1/2,y+1/2,-z'
'x+1/2,-y+1/2,z'
loop_
_atom_site_label
_atom_site_type_symbol
_atom_site_fract_x
_atom_site_fract_y
_atom_site_fract_z
Cr1 Cr 0.250 0.250 0.000
P1 P 0.075 0.212 0.185
P2 P 0.180 0.378 0.471
O1 O 0.000 0.267 0.000
O2 O 0.053 0.114 0.330
O3 O 0.098 0.315 0.379
O4 O 0.141 0.196 0.015
O5 O 0.150 0.500 0.401
O6 O 0.202 0.370 0.764
O7 O 0.244 0.346 0.309
```

Main lines, low angle first (10 to 80 degrees two-theta):
d = 8.324 Å, 2θ 10.63, I 39.9, (2 0 0); d = 6.146 Å, 2θ 14.41, I 100.0, (0 2 0); d = 5.058 Å, 2θ 17.53, I 36.7, (3 1 0); d = 4.662 Å, 2θ 19.04, I 17.8, (2 0 -1); d = 3.924 Å, 2θ 22.66, I 32.4, (0 2 1); d = 3.483 Å, 2θ 25.58, I 23.7, (4 0 -1); d = 3.405 Å, 2θ 26.17, I 10.5, (2 2 1); d = 3.373 Å, 2θ 26.42, I 16.5, (3 1 1); d = 3.030 Å, 2θ 29.48, I 10.9, (4 2 -1); d = 2.632 Å, 2θ 34.06, I 19.7, (0 4 1)


Calculated X-ray diffraction stick pattern of CrP2O6 for a wavelength of 1.5418 Å, from the PBE+U geometry in the Materials Project.
Lines closer than 0.1° are merged.

```
data_CrP2O6
_cell_length_a 13.036
_cell_length_b 8.374
_cell_length_c 10.049
_cell_angle_alpha 90.00
_cell_angle_beta 119.17
_cell_angle_gamma 90.00
_space_group_name_H-M_alt 'C 1 2/c 1'
_space_group_IT_number 15
loop_
_space_group_symop_operation_xyz
'x,y,z'
'-x,-y,-z'
'-x,y,-z+1/2'
'x,-y,z+1/2'
'x+1/2,y+1/2,z'
'-x+1/2,-y+1/2,-z'
'-x+1/2,y+1/2,-z+1/2'
'x+1/2,-y+1/2,z+1/2'
loop_
_atom_site_label
_atom_site_type_symbol
_atom_site_fract_x
_atom_site_fract_y
_atom_site_fract_z
Cr1 Cr 0.000 0.052 0.250
Cr2 Cr 0.250 0.250 0.500
P1 P 0.011 0.263 0.978
P2 P 0.185 0.498 0.190
O1 O 0.035 0.123 0.907
O2 O 0.035 0.235 0.411
O3 O 0.076 0.384 0.653
O4 O 0.131 0.364 0.058
O5 O 0.223 0.084 0.332
O6 O 0.225 0.428 0.344
```

Main lines, low angle first (10 to 80 degrees two-theta):
d = 6.299 Å, 2θ 14.06, I 44.9, (1 1 -1); d = 4.287 Å, 2θ 20.72, I 40.6, (1 1 -2); d = 3.851 Å, 2θ 23.10, I 27.0, (3 1 -1); d = 3.601 Å, 2θ 24.72, I 34.9, (3 1 -2); d = 3.456 Å, 2θ 25.78, I 50.9, (3 1 0); d = 3.029 Å, 2θ 29.49, I 100.0, (0 2 2); d = 2.978 Å, 2θ 30.01, I 23.9, (3 1 -3); d = 2.846 Å, 2θ 31.44, I 34.5, (4 0 0); d = 2.545 Å, 2θ 35.27, I 27.1, (4 2 -2); d = 2.114 Å, 2θ 42.77, I 22.4, (1 3 -3)


Calculated X-ray diffraction stick pattern of CrPO4 for a wavelength of 1.5418 Å, from the PBE+U geometry in the Materials Project.
Lines closer than 0.1° are merged.

```
data_CrPO4
_cell_length_a 10.590
_cell_length_b 13.175
_cell_length_c 6.406
_cell_angle_alpha 90.00
_cell_angle_beta 90.00
'''

UniVerse - SQL LIST: View List of All Database Tables

I am trying to obtain a list of all the DB Tables that will give me visibility on what tables I may need to JOIN for running SQL scripts.
For example, in TCL when I run "LIST.DICT" it returns "Name of File:" for input. I then enter "PRODUCT" and it returns a list of all available fields.
However, Where can I get a list of all my available Tables or list of my options that I can enter after "Name of File:"?
Here is what I am trying to achieve. In the screen shot below, I would like to run a SQL script that gives me the latest Log File Activity, Date - Time - Description. I would like the script to return '8/13/14 08:40am BR: 3;BuyPkg'
Thank you in advance for your help.
From TCL within the database account containing your database files, type: LISTF
Sample output:
FILES in your vocabulary 03:21:38pm 29 Jun 2015 Page 1
Filename........................... Pathname...................... Type Modulo
File - Contains all logical device names
DICT &DEVICE& /u1/uv/D_&DEVICE& 2 1
DATA &DEVICE& /u1/uv/&DEVICE& 2 3
File - Used by MAKE.MAP.FILE
DICT &MAP& /u1/uv/D_&MAP& 2 1
DATA &MAP& /u1/uv/&MAP& 6 7
File - Contains all parts of Distributed Files
DICT &PH& D_&PH& 3 1
DATA &PH& &PH& 1
File - Used by uniVerse to access the current directory.
DICT &UFD& /u1/uv/D_UFD 2 1
DATA &UFD& . 19 1
DICT &XML& D_&XML& 18 3
DATA &XML& &XML& 19 1
Firstly, UniVerse has no Log File Activity Date and Time.
However, you can still obtain the table's modified/ accessed date from the file system however.
To do this,
You need to have a subroutine accepting a path of the table to return a date or a time.
Inside the subroutine, you can use EXECUTE to run shell command like istat for getting these info on a unix e.g.
Please beware that for a dynamic file e.g. there are Data and Overflow parts under a directory. You should compare the dates obtained and return only the latest one.
Globally catalog the subroutine
Create an I-Desc in VOC, e.g. I.FILE.MOD.DATE in the field definition of this I-Desc: SUBR("*GET.FILE.MOD.DATE",F2) and Conv Code as "D/MDY2"
Create another I-Desc e.g. I.FILE.MOD.TIME
Finally, you can
alternatively in SQL,